Exercise:
Start at the top of the material underneath and restate each line, ending with the one that has "=====".
Given:
'''
Entry 1:
{"formula": "C37H32BrClN7O3STa", "method": "ωB97M-V/def2-TZVPD", "gap_ev": 5.42, "total_energy_ev": -150403.8545, "homo_energy_ev": -12.09, "lumo_energy_ev": -6.669, "charge": 2, "elements": ["Ta", "O", "C", "C", "C", "C", "C", "C", "C", "O", "N", "N", "C", "C", "C", "C", "C", "C", "C", "O", "H", "H", "H", "H", "H", "H", "H", "H", "H", "H", "Br", "C", "C", "C", "C", "C", "C", "N", "C", "C", "C", "C", "C", "C", "N", "H", "H", "H", "H", "H", "H", "H", "H", "H", "S", "C", "N", "C", "C", "C", "C", "H", "H", "H", "H", "H", "N", "C", "C", "C", "C", "C", "N", "H", "H", "H", "H", "H", "H", "Cl", "C", "H", "H"], "xyz": [[-0.23703, -0.86276, -0.73700], [-2.12990, 3.47825, -3.72528], [-1.00597, 3.89341, -3.14311], [-0.52002, 5.14640, -3.52485], [0.62876, 5.65468, -2.96285], [1.34243, 4.92768, -2.00591], [0.89229, 3.68729, -1.63034], [-0.27875, 3.14201, -2.18801], [-0.71321, 1.83928, -1.72855], [0.11742, 1.02631, -1.08360], [-1.93722, 1.44048, -1.93601], [-2.17708, 0.21634, -1.39377], [-3.40696, -0.13446, -1.22807], [-3.81559, -1.31786, -0.53085], [-5.17540, -1.65210, -0.46370], [-5.60209, -2.72489, 0.28691], [-4.66850, -3.48353, 0.99033], [-3.32193, -3.17556, 0.93669], [-2.88278, -2.09943, 0.17456], [-1.58087, -1.79657, 0.10139], [-2.44745, 2.67005, -3.28651], [-1.08735, 5.70338, -4.25781], [0.97705, 6.63613, -3.25654], [2.23921, 5.34079, -1.56345], [1.41201, 3.11372, -0.87189], [-4.17508, 0.54918, -1.58160], [-5.89049, -1.05274, -1.01380], [-6.65213, -2.97407, 0.34287], [-4.99870, -4.32505, 1.58445], [-2.59182, -3.76221, 1.48142], [6.38234, 3.46768, 0.38163], [5.07477, 2.11217, 0.20335], [4.14325, 2.18773, -0.82044], [3.20086, 1.18854, -0.96469], [3.19519, 0.09946, -0.09997], [4.12652, 0.04459, 0.93750], [5.06044, 1.05007, 1.09507], [2.29364, -0.97148, -0.31681], [2.78750, -2.14564, -0.26179], [1.96548, -3.33638, -0.35266], [2.52093, -4.59804, -0.18458], [1.69173, -5.70754, -0.20478], [0.33482, -5.51703, -0.41876], [-0.13540, -4.22840, -0.60793], [0.65527, -3.15793, -0.56675], [4.16407, 3.02194, -1.50914], [2.49177, 1.23165, -1.77795], [4.10336, -0.77773, 1.64245], [5.78202, 0.99749, 1.89927], [3.85903, -2.29676, -0.14557], [3.58763, -4.69925, -0.03467], [2.09050, -6.70178, -0.05707], [-0.35356, -6.34942, -0.44366], [-1.18347, -4.04221, -0.80424], [1.52876, 2.35558, 2.13385], [2.26539, 3.84819, 2.39756], [3.38775, 3.91687, 3.16598], [4.06542, 5.06191, 3.42648], [3.63182, 6.24358, 2.91777], [2.46204, 6.24610, 2.13148], [1.79356, 5.07880, 1.88071], [3.70722, 3.04451, 3.56183], [4.95298, 4.97031, 4.03448], [4.17299, 7.15443, 3.12241], [2.08893, 7.17944, 1.73038], [0.89326, 5.05331, 1.28540], [-1.40265, 0.99125, 1.46913], [-0.80184, 0.07770, 2.31903], [-1.21762, -0.11350, 3.63611], [-0.53026, -1.00469, 4.42982], [0.56271, -1.68583, 3.89676], [0.86544, -1.48968, 2.57085], [0.18651, -0.64924, 1.77960], [-2.14603, 1.51505, 1.90823], [-0.70820, 1.62829, 1.08305], [-2.04752, 0.46456, 4.02011], [-0.81633, -1.15546, 5.46192], [1.15155, -2.36049, 4.50051], [1.67964, -2.03027, 2.10358], [1.03405, -0.98542, -3.04838], [-0.55702, -1.73689, -2.75627], [-0.46102, -2.80155, -2.94626], [-1.26358, -1.30887, -3.46212]]}

=====

Entry 2:
'''
Completed:
Entry 1:
{"formula": "C37H32BrClN7O3STa", "method": "ωB97M-V/def2-TZVPD", "gap_ev": 5.42, "total_energy_ev": -150403.8545, "homo_energy_ev": -12.09, "lumo_energy_ev": -6.669, "charge": 2, "elements": ["Ta", "O", "C", "C", "C", "C", "C", "C", "C", "O", "N", "N", "C", "C", "C", "C", "C", "C", "C", "O", "H", "H", "H", "H", "H", "H", "H", "H", "H", "H", "Br", "C", "C", "C", "C", "C", "C", "N", "C", "C", "C", "C", "C", "C", "N", "H", "H", "H", "H", "H", "H", "H", "H", "H", "S", "C", "N", "C", "C", "C", "C", "H", "H", "H", "H", "H", "N", "C", "C", "C", "C", "C", "N", "H", "H", "H", "H", "H", "H", "Cl", "C", "H", "H"], "xyz": [[-0.23703, -0.86276, -0.73700], [-2.12990, 3.47825, -3.72528], [-1.00597, 3.89341, -3.14311], [-0.52002, 5.14640, -3.52485], [0.62876, 5.65468, -2.96285], [1.34243, 4.92768, -2.00591], [0.89229, 3.68729, -1.63034], [-0.27875, 3.14201, -2.18801], [-0.71321, 1.83928, -1.72855], [0.11742, 1.02631, -1.08360], [-1.93722, 1.44048, -1.93601], [-2.17708, 0.21634, -1.39377], [-3.40696, -0.13446, -1.22807], [-3.81559, -1.31786, -0.53085], [-5.17540, -1.65210, -0.46370], [-5.60209, -2.72489, 0.28691], [-4.66850, -3.48353, 0.99033], [-3.32193, -3.17556, 0.93669], [-2.88278, -2.09943, 0.17456], [-1.58087, -1.79657, 0.10139], [-2.44745, 2.67005, -3.28651], [-1.08735, 5.70338, -4.25781], [0.97705, 6.63613, -3.25654], [2.23921, 5.34079, -1.56345], [1.41201, 3.11372, -0.87189], [-4.17508, 0.54918, -1.58160], [-5.89049, -1.05274, -1.01380], [-6.65213, -2.97407, 0.34287], [-4.99870, -4.32505, 1.58445], [-2.59182, -3.76221, 1.48142], [6.38234, 3.46768, 0.38163], [5.07477, 2.11217, 0.20335], [4.14325, 2.18773, -0.82044], [3.20086, 1.18854, -0.96469], [3.19519, 0.09946, -0.09997], [4.12652, 0.04459, 0.93750], [5.06044, 1.05007, 1.09507], [2.29364, -0.97148, -0.31681], [2.78750, -2.14564, -0.26179], [1.96548, -3.33638, -0.35266], [2.52093, -4.59804, -0.18458], [1.69173, -5.70754, -0.20478], [0.33482, -5.51703, -0.41876], [-0.13540, -4.22840, -0.60793], [0.65527, -3.15793, -0.56675], [4.16407, 3.02194, -1.50914], [2.49177, 1.23165, -1.77795], [4.10336, -0.77773, 1.64245], [5.78202, 0.99749, 1.89927], [3.85903, -2.29676, -0.14557], [3.58763, -4.69925, -0.03467], [2.09050, -6.70178, -0.05707], [-0.35356, -6.34942, -0.44366], [-1.18347, -4.04221, -0.80424], [1.52876, 2.35558, 2.13385], [2.26539, 3.84819, 2.39756], [3.38775, 3.91687, 3.16598], [4.06542, 5.06191, 3.42648], [3.63182, 6.24358, 2.91777], [2.46204, 6.24610, 2.13148], [1.79356, 5.07880, 1.88071], [3.70722, 3.04451, 3.56183], [4.95298, 4.97031, 4.03448], [4.17299, 7.15443, 3.12241], [2.08893, 7.17944, 1.73038], [0.89326, 5.05331, 1.28540], [-1.40265, 0.99125, 1.46913], [-0.80184, 0.07770, 2.31903], [-1.21762, -0.11350, 3.63611], [-0.53026, -1.00469, 4.42982], [0.56271, -1.68583, 3.89676], [0.86544, -1.48968, 2.57085], [0.18651, -0.64924, 1.77960], [-2.14603, 1.51505, 1.90823], [-0.70820, 1.62829, 1.08305], [-2.04752, 0.46456, 4.02011], [-0.81633, -1.15546, 5.46192], [1.15155, -2.36049, 4.50051], [1.67964, -2.03027, 2.10358], [1.03405, -0.98542, -3.04838], [-0.55702, -1.73689, -2.75627], [-0.46102, -2.80155, -2.94626], [-1.26358, -1.30887, -3.46212]]}

=====